Activity
What is needed: type out every line underneath that contains the word "computed".
Source
<<<
## LaYTeO5 (PBE-GGA)

Data for LaYTeO5 after structural relaxation.

Calculated values
The crystal system is monoclinic. The value obtained for the uncorrected formation energy is -2506 meV/atom. For the density of states at the Fermi level, the calculation gives 0.0 states/eV/cell.

a b c (Å): 6.1884 6.1884 8.0071
angles (deg): 106.48 106.48 98.72
Element x y z (fractional)
1 La 0.0543 0.9457 0.7500
2 La 0.9457 0.0543 0.2500
3 Y 0.0000 0.5000 0.0000
4 Y 0.5000 0.0000 0.5000
5 Te 0.4611 0.5389 0.7500
6 Te 0.5389 0.4611 0.2500
7 O 0.1811 0.8189 0.2500
8 O 0.1981 0.2273 0.0772
9 O 0.2273 0.1981 0.5772
10 O 0.2800 0.6444 0.8978
11 O 0.3556 0.7200 0.6022
12 O 0.6444 0.2800 0.3978
13 O 0.7200 0.3556 0.1022
14 O 0.7727 0.8019 0.4228
15 O 0.8019 0.7727 0.9228
16 O 0.8189 0.1811 0.7500


# Ag2BAu

A relaxed Ag2BAu crystal (GGA-PBEsol, the Alexandria database).

Calculated values
For the formation energy, the calculation gives 51.3 kJ/mol of atoms.

Structure (CIF):
```
data_Ag2BAu
_chemical_formula_sum 'Ag8 B4 Au4'
_space_group_name_H-M_alt 'I -4 2 d'
_space_group_IT_number 122
_space_group_name_Hall 'I -4 2bw'
_cell_length_a 7.529
_cell_length_b 7.529
_cell_length_c 4.450
_cell_angle_alpha 90.00
_cell_angle_beta 90.00
_cell_angle_gamma 90.00
loop_
_atom_site_label
_atom_site_fract_x
_atom_site_fract_y
_atom_site_fract_z
Ag1 0.146 0.750 0.125
B1 0.000 0.000 0.000
Au1 0.000 0.000 0.500
```



# Ta3Pb2

A relaxed Ta3Pb2 crystal (GGA-PBEsol, the Alexandria database).

Calculated values
For the formation energy, the calculation gives 101.8 kJ/mol of atoms.

Structure (CIF):
```
data_Ta3Pb2
_chemical_formula_sum 'Ta3 Pb2'
_space_group_name_H-M_alt 'P -3 m 1'
_space_group_IT_number 164
_space_group_name_Hall '-P 3 2"'
_cell_length_a 4.6794
_cell_length_b 4.6794
_cell_length_c 5.7849
_cell_angle_alpha 90.00
_cell_angle_beta 90.00
_cell_angle_gamma 120.00
loop_
_atom_site_label
_atom_site_fract_x
_atom_site_fract_y
_atom_site_fract_z
Ta1 0.0000 0.0000 0.0000
Ta2 0.3333 0.6667 0.3170
Pb1 0.3333 0.6667 0.8043
```



# HgOs3

A relaxed HgOs3 crystal (GGA-PBEsol, the Alexandria database).

Calculated values
For the formation energy, the calculation gives 105.1 kJ/mol of atoms. The offset from the most stable computed form comes out at 372.7 meV per atom.

Structure (CIF):
```
data_HgOs3
_chemical_formula_sum 'Hg1 Os3'
_space_group_name_H-M_alt 'P 4/m m m'
_space_group_IT_number 123
_space_group_name_Hall '-P 4 2'
_cell_length_a 4.688
_cell_length_b 4.688
_cell_length_c 2.805
_cell_angle_alpha 90.00
_cell_angle_beta 90.00
_cell_angle_gamma 90.00
loop_
_atom_site_label
_atom_site_fract_x
_atom_site_fract_y
_atom_site_fract_z
Hg1 0.000 0.000 0.000
Os1 0.000 0.500 0.500
Os2 0.500 0.500 0.000
```



# KZrF2

A relaxed KZrF2 crystal (GGA-PBEsol, the Alexandria database).

Calculated values
The formation energy (no corrections) comes out at -671 kJ/mol of formula units.

Structure (CIF):
```
data_KZrF2
_chemical_formula_sum 'K4 Zr4 F8'
_space_group_name_H-M_alt 'I -4 2 d'
_space_group_IT_number 122
_space_group_name_Hall 'I -4 2bw'
_cell_length_a 5.906
_cell_length_b 5.906
_cell_length_c 9.324
_cell_angle_alpha 90.00
_cell_angle_beta 90.00
_cell_angle_gamma 90.00
loop_
_atom_site_label
_atom_site_fract_x
_atom_site_fract_y
_atom_site_fract_z
K1 0.000 0.000 0.000
Zr1 0.000 0.000 0.500
F1 0.206 0.250 0.625
```



# LaZn3In

A relaxed LaZn3In crystal (GGA-PBEsol, the Alexandria database).

Calculated values
For the formation energy, the calculation gives 94.9 kJ/mol of atoms.

Structure (CIF):
```
data_LaZn3In
_chemical_formula_sum 'La1 Zn3 In1'
_space_group_name_H-M_alt 'P m -3 m'
_space_group_IT_number 221
_space_group_name_Hall '-P 4 2 3'
_cell_length_a 5.571
_cell_length_b 5.571
_cell_length_c 5.571
_cell_angle_alpha 90.00
_cell_angle_beta 90.00
_cell_angle_gamma 90.00
loop_
_atom_site_label
_atom_site_fract_x
_atom_site_fract_y
_atom_site_fract_z
La1 0.000 0.000 0.000
Zn1 0.000 0.000 0.500
In1 0.500 0.500 0.500
```



# IrOsCl2
>>>
Result
For the formation energy, the calculation gives 105.1 kJ/mol of atoms. The offset from the most stable computed form comes out at 372.7 meV per atom.